That's what I can't understand. I don't know what time it started but from the time the video played it was over 10 minutes.That is scandalous considering the distance from the fire station to Soi 15. Or was it change of watches or maybe lunch.
I have driven over half a million kilometers before I came here. In that time I only hit a parked truck once. That was in the middle of an unexpected snowstorm and I skidded on ice. What was more annoying then any thing was a pub a short distance ahead where I would have pulled in and stayed the night. Mind you that was over 50 years ago and I have driven on ice a few times over the years (not many) and never hit anything again.
I can't understand Thai drivers who manage to hit parked vehicles all the time.
[Inserted here: calculated crystals]
┌──
--- w ---
86
Lattice="8.4682 -4.8587 0.0000 8.4682 4.8587 0.0000 -0.1610 0.0000 14.3735" Properties=species:S:1:pos:R:3 comment="PBE with a Hubbard U Li3V3P8O29, optimized geometry" magmom_total_mub_per_atom=0.0000 mass_density_g_cm3=2.49 pbc="T T T"
Li 8.3877 4.3916 7.1867
Li 7.1785 2.1585 0.7335
Li 7.0980 -2.1585 7.9203
Li 13.5930 0.6386 6.2509
Li 13.5125 -0.6386 13.4376
Li 8.4682 -4.3916 0.0000
V 11.4826 2.7540 10.7103
V 7.9143 0.6224 3.5487
V 12.6450 2.1593 3.3761
V 7.8338 -0.6224 10.7354
V 11.5631 -2.7540 3.5236
V 12.5646 -2.1593 10.5628
P 1.9395 0.6873 11.9608
P 6.0206 2.9717 4.7521
P 7.0144 2.2531 12.0040
P 2.0200 -0.6873 4.7741
P 9.7337 2.9860 2.1418
P 8.5426 2.3115 9.4421
P 5.1102 0.0636 1.8126
P 5.0297 -0.0636 8.9993
P 10.7513 0.0028 5.1562
P 10.6708 -0.0028 12.3429
P 7.0949 -2.2531 4.8172
P 5.9402 -2.9717 11.9388
P 13.6092 0.6861 9.3417
P 8.6231 -2.3115 2.2554
P 13.6897 -0.6861 2.1550
P 9.6532 -2.9860 9.3285
O 3.2608 1.4812 11.7250
O 4.6636 2.2415 4.6343
O 5.5636 2.7989 11.8644
O 2.3667 0.8242 4.6548
O 3.8797 0.7504 2.4930
O 5.0086 1.4000 9.6363
O 9.5514 3.8385 0.9490
O 9.5807 3.8661 3.4780
O 7.8447 2.8944 10.7960
O 7.8877 2.8837 8.2486
O 9.7340 3.8290 5.9899
O 7.5841 2.6257 13.3249
O 2.2862 -0.8242 11.8415
O 7.1769 1.9305 4.6798
O 5.1351 0.0899 0.3328
O 6.3763 0.7909 2.4023
O 3.7992 -0.7504 9.6797
O 5.0546 -0.0899 7.5195
O 8.6058 1.9089 2.2460
O 10.0236 2.7755 9.5583
O 7.0196 0.7098 11.7481
O 3.3413 -1.4812 4.5383
O 11.1127 2.2447 2.3097
O 8.4901 0.7665 9.6042
O 5.0891 -1.4000 2.4495
O 6.2958 -0.7909 9.5890
O 10.6398 1.4333 11.7130
O 9.4685 0.6991 4.5183
O 7.1001 -0.7098 4.5614
O 4.5831 -2.2415 11.8210
O 12.2853 1.4320 9.5794
O 8.5706 -0.7665 2.4175
O 5.6441 -2.7989 4.6777
O 7.0964 -1.9305 11.8666
O 9.3881 -0.6991 11.7050
O 11.9960 0.7167 4.5179
O 10.7825 0.0142 6.6372
O 10.7020 -0.0142 13.8239
O 8.5253 -1.9089 9.4327
O 13.4325 0.8430 2.2704
O 7.6646 -2.6257 6.1381
O 14.2965 1.0675 8.0604
O 14.5979 1.0518 10.5516
O 7.9251 -2.8944 3.6093
O 7.9682 -2.8837 1.0619
O 14.5472 0.9454 13.0825
O 10.7203 -1.4333 4.5263
O 11.9155 -0.7167 11.7047
O 12.3658 -1.4320 2.3926
O 13.3520 -0.8430 9.4572
O 10.1041 -2.7755 2.3716
O 11.0322 -2.2447 9.4964
O 14.3770 -1.0675 0.8736
O 9.4709 -3.8385 8.1357
O 14.6277 -0.9454 5.8958
O 9.5002 -3.8661 10.6647
O 9.6535 -3.8290 13.1766
O 14.6783 -1.0518 3.3649

***

--- x ---
86
Lattice="9.7520 0.0000 0.0000 -4.8495 8.4721 0.0000 -0.0137 -0.0618 14.1532" Properties=species:S:1:pos:R:3 comment="PBE with a Hubbard U Li3V3P8O29, optimized geometry" magmom_total_mub_per_atom=0.0000 mass_density_g_cm3=2.51 pbc="T T T"
Li 0.0000 0.0000 0.0000
Li -2.7122 4.8894 6.2964
Li 0.7152 2.9939 11.8261
Li -0.0967 6.0431 12.7825
Li 0.0970 6.0718 5.3764
Li 2.0507 3.7154 6.2566
V 2.8108 0.8545 2.0090
V 2.1697 1.9229 9.0367
V 4.2281 5.6839 1.9599
V 6.9951 0.8796 9.0261
V 5.5026 5.6692 9.1647
V 7.6316 2.0183 2.0156
P 0.0169 0.0322 3.6564
P -0.0155 0.0492 10.7416
P -2.5982 4.9820 3.2647
P -1.8903 3.7334 10.3617
P -0.6719 3.0498 7.7354
└──
So, if I go with the wife and 2 grandchildren I'm looking at 6,000 Baht (special offer) as a start.
Add in cost of Transport, food, drinks etc. it going to be an expensive day out.
Typical "The Pattaya News" lack of information. No info about what time, or what direction they run or the layout of the course. Is it open categories or are they separated.
It would be helpful to have all this information beforehand rather than just before (or in some cases not at all).
I have noticed this lack of info from all the Pattaya newspapers, online or in print over the years.
In Pattaya most of the fresh markets sell oyster. Packed into tubs the sell for 100 Baht (or they used too). I use them in cooking but is it safe to eat them raw?
I find this rule totally stupid. I can understand saying Thai Buddhist must refrain from alcohol but stopping the sale of alcohol seems idiotic. You can go out the day before (as I did) stock up and drink-what ever you want. Stopping the tourist drinking when you are crying out for more tourists doesn't seem logical.
A much better Idea on the days when the sale of alcohol is banned is to say that you can only buy alcohol by showing a foreign ID.
In the USA most young people carry an ID which (if there old enough) allows them to purchase alcohol.
Up to when they stopped running I use to use the baht us to go to Thappaya Road. Very rarely the return because I was too late and it had stopped running. But I have missed it the last couple of years .So Saturday on my motorbike I noticed people boarding a Baht Bus to come up Thepprasit. Are they operating now? I don't wont to walk to Thepprasit (admittedly only a short way) and wait for a Bus that doesn't come and then end up getting a motorbike taxi anyway. Yes I know I have a motorbike but I don't drink and drive. Any news?
Sitting in a bar on Soi Diana watching the flood I was amazed how many idiots there were driving to fast creating large wakes. At one point a yellow taxi come down the soi so fast the wake toppled 3 bikes parked out side Kiss.
I'll have to leave it for a couple of months. My TV packed up, I was hoping that it was the Remote but no such luck, So a 36,000 Baht purchase will have to wait a little while. Mind you with the weather at the moment I wasn't looking forward to the ride to Bang Saen.
Hi, I have sent DECO 3 emails asking for more info and got nothing back. Did you have any problems contacting them. Also can you tell me where you bought it, did you see it first and do they deliver? All questions I expected DECO to answer.
From what I understand being transferred to an inaction post just means he is kept away from whatever investigation is underway.
Not that he is guilty of anything they just don't want him to influence the result.
If nothing is found he can be brought back with no loss of service or rank. In England they would state that he is suspended while the facts are investigated.
I tend to read Sci-fi and Fantasy. After reading The Prefect by Alistair Reynolds I went to Chasm City. I must admit his mind must work on a different level to mine. How he can cribbed the surroundings in such detail way is beyond me. S lightly different, my favorite Sci-Fi author was Issac Asimov.